Good Chicken Gardens, LLC

Hang in there...

**Inserted here: quantum chemistry results**
<<<
Entry 1:
ORCA calculation (wB97M-V/def2-TZVPD) on a cluster of 2 separate species, C10H16O in total.

Summary:
Energy = -12676.010 eV
SMILES = Cc1ccc(O)cc1.CCC
LUMO level = 0.862 eV
HOMO-LUMO gap = 9.358 eV

```
! wB97M-V def2-TZVPD RIJCOSX def2/J DEFGRID3
* xyz 0 1
C -1.59 -0.20 -2.03
C -0.76 -1.17 -1.28
C 0.54 -1.40 -1.66
C 1.43 -2.17 -0.89
C 0.93 -2.54 0.35
O 1.82 -2.96 1.33
C -0.43 -2.46 0.69
C -1.28 -1.68 -0.08
H -1.26 -0.08 -3.07
H -1.58 0.84 -1.57
H -2.67 -0.32 -1.87
H 0.96 -0.86 -2.50
H 2.45 -2.33 -1.18
H 1.76 -2.41 2.11
H -0.60 -2.92 1.65
H -2.30 -1.50 0.23
C 1.07 1.47 1.57
C 0.61 2.74 0.81
C -0.82 2.52 0.35
H 1.02 0.60 0.91
H 0.35 1.27 2.34
H 2.12 1.49 1.83
H 0.69 3.63 1.44
H 1.26 2.87 -0.07
H -1.04 1.87 -0.51
H -1.56 2.17 1.08
H -1.13 3.51 0.03
*
```

Entry 2:
ORCA calculation (wB97M-V/def2-TZVPD) on a cluster of 2 separate species, BrH2IO2Si in total.

Summary:
Energy = -90150.505 eV
SMILES = O=[Si](O)Br.I
LUMO level = -0.326 eV
HOMO-LUMO gap = 10.209 eV

```
! wB97M-V def2-TZVPD RIJCOSX def2/J DEFGRID3
* xyz 0 1
O 2.50 3.70 0.74
Si 1.21 2.96 0.51
O 0.56 1.79 1.42
Br 0.20 3.32 -1.32
H 0.17 0.94 1.18
I 0.05 -0.72 -1.47
H 1.54 -0.15 -1.37
*
```

Entry 3:
ORCA calculation (wB97M-V/def2-TZVPD) on a cluster of 12 separate species, C20H44Cl24O16P4 in total.

Summary:
Energy = -391912.104 eV
SMILES = COP(=O)(OC)OC.COP(=O)(OC)OC.COP(=O)(OC)OC.COP(=O)(OC)OC.ClC(Cl)Cl.ClC(Cl)Cl.ClC(Cl)Cl.ClC(Cl)Cl.ClC(Cl)Cl.ClC(Cl)Cl.ClC(Cl)Cl.ClC(Cl)Cl
LUMO level = 0.119 eV
HOMO-LUMO gap = 10.578 eV

```
! wB97M-V def2-TZVPD RIJCOSX def2/J DEFGRID3
* xyz 0 1
C 13.48 1.32 -26.90
O 14.21 1.54 -25.72
P 13.40 1.92 -24.37
O 12.13 2.73 -24.55
O 13.21 0.46 -23.60
C 12.08 -0.35 -23.91
O 14.57 2.71 -23.55
C 15.83 2.13 -23.46
H 13.76 0.31 -27.21
H 13.71 1.97 -27.74
H 12.40 1.39 -26.78
H 12.39 -1.25 -24.43
H 11.24 0.08 -24.45
H 11.65 -0.59 -22.93
H 16.19 2.27 -22.44
H 16.52 2.64 -24.13
H 15.89 1.05 -23.62
C 18.98 -4.03 -16.65
O 17.62 -4.13 -16.25
P 16.50 -4.14 -17.49
O 16.53 -5.39 -18.26
O 16.76 -2.74 -18.38
C 16.29 -2.62 -19.66
O 15.14 -3.88 -16.65
C 13.95 -3.40 -17.28
H 19.38 -3.06 -16.36
H 19.12 -4.18 -17.72
H 19.51 -4.83 -16.15
H 17.15 -2.46 -20.31
H 15.63 -1.75 -19.68
H 15.74 -3.51 -19.94
H 13.09 -3.91 -16.87
H 13.85 -3.60 -18.35
H 13.82 -2.32 -17.15
C 19.86 5.92 -26.10
O 19.29 6.77 -25.10
P 19.82 6.95 -23.54
O 20.11 5.70 -22.80
O 18.65 7.84 -22.85
C 18.83 8.54 -21.71
O 20.99 8.04 -23.71
C 20.65 9.21 -24.46
H 19.05 5.31 -26.49
H 20.63 5.22 -25.76
H 20.27 6.53 -26.90
H 19.85 8.51 -21.33
H 18.16 8.22 -20.91
H 18.49 9.58 -21.81
H 19.57 9.35 -24.55
H 21.05 8.94 -25.43
H 21.19 10.08 -24.08
C 26.37 0.08 -19.68
O 25.08 0.28 -20.19
P 24.25 -1.03 -20.69
O 23.47 -1.85 -19.67
O 23.29 -0.55 -21.93
C 22.67 0.64 -21.83
O 25.38 -1.95 -21.44
C 26.08 -1.47 -22.53
H 27.25 0.29 -20.28
H 26.45 -0.95 -19.35
H 26.37 0.74 -18.81
H 22.55 1.03 -20.82
H 21.69 0.52 -22.30
H 23.14 1.46 -22.37
H 25.91 -0.43 -22.80
H 25.82 -1.93 -23.48
H 27.13 -1.49 -22.24
Cl 8.27 -2.87 -26.59
>>>

Gardening Plans 2025 – Seeds and Seedlings

Plans are being made

As the buds start to pop out all around us, ideas start popping into my head and seeds start to pile up in corners of my living room. It is almost spring planting season! In this post I am hoping to walk you through the beginnings of the plans I am putting to action.

I have drawn up my garden plans but they include a lot of new plants I haven’t grown before. I think some of my plans have plants with different watering needs directly beside each other, so I definitely need to revise that before sharing with anyone!

Thankfully, my seed list is pretty much complete so I am going to go through that in this post to kind of show the process of planning.

Before I can plan for what I want, I begin by acknowledging what I have. Over the past three years the food forest has slowly but surely grown into a lovely little oasis. Our current plants list is a beautiful sight.

Already In The Garden

Rose (2 Varieties)Tulips
Snowball TreeIris (2 Varieties)
Lady fernVirginia Spiderwort *
Forsythia *Azalea
English Ivy *Hosta
Japanese MapleWood Sorrel
CrocusesJapanese Honeysuckle *
LimeGarden Sage

Bold items are edible. *Invasive Handle With Care

The above table fills me with joy because these are all established producers that I have successfully grown and am confident about bringing to market. But, as a big fan of stretching beyond my comfort zone, I have also picked up some new plant varieties over the winter that I am currently hoarding in a reusable bag in my living room. This list is small, but exciting!

Seeds I Already Have

Blue Butterfly PeasSunflower
Zinnia (3 Varieties)Montbretia *
GladiolusBlack Eyed Susan
NasturtiumBlack-Eyed Peas
Echinacea (Coneflower)

Bold items are edible. *Invasive Handle With Care

This table needs to approximately double in size over the next three weeks because I also need a lot of seeds to finish my plans for my established beds.

Seeds I Need

TomatoesLemon Verbena
Native WildflowerMilkweed (2 varieties)
CarrotsGreen Beans
Bell PeppersTabasco Peppers

• Data records, kept here for reference:
=====
Molecular formula: C22H22ClN5O2
Method: DFT, ωB97M-V/def2-TZVPD

Output
Molar mass, g mol⁻¹: 423.90
LUMO, eV: -0.213
Kohn-Sham gap, hartree: 0.326
Charge: 0
Spin multiplicity: 1
HOMO energy, eV: -9.07
SMILES: CCNC(=O)C[C@@H]1N=C(c2ccc(Cl)cc2)c2cc(OC)ccc2-n2c(C)nnc21

Geometry (Å):
C: -5.10286 -0.71879 -0.45224
H: -6.17130 -0.85436 -0.59208
H: -4.59056 -1.61646 -0.79027
H: -4.77945 0.11884 -1.06918
C: -4.79974 -0.45496 1.01746
N: -3.37506 -0.35296 1.24939
C: -2.69791 -1.21996 2.03574
O: -3.23927 -2.05071 2.72901
C: -1.18513 -1.06488 1.96313
H: -0.90444 -0.02448 1.79159
H: -0.75017 -1.40211 2.90427
C: -0.65232 -1.98049 0.83852
N: 0.77979 -1.93821 0.69055
C: 1.41375 -0.90817 0.30593
C: 2.87435 -1.04803 0.16647
C: 3.59101 -0.29564 -0.76216
C: 4.95745 -0.45526 -0.89198
C: 5.61733 -1.37122 -0.08665
C: 4.91819 -2.13994 0.83329
C: 3.55256 -1.97965 0.95089
H: 2.98535 -2.57047 1.65203
H: 5.44255 -2.85527 1.44694
Cl: 7.32670 -1.55961 -0.23628
H: 5.51027 0.12339 -1.61536
H: 3.07825 0.40731 -1.40265
C: 0.84530 0.43099 0.01315
C: 1.51818 1.55131 0.49856
C: 1.02288 2.83160 0.28933
C: -0.17164 2.98924 -0.42062
C: -0.84638 1.89104 -0.90117
C: -0.34873 0.60509 -0.69487
N: -1.05859 -0.50561 -1.16599
C: -1.26538 -1.68667 -0.48584
N: -1.99238 -2.48936 -1.19786
N: -2.27747 -1.87507 -2.35964
C: -1.73295 -0.69620 -2.35365
C: -1.78185 0.26841 -3.47625
H: -1.91749 -0.28997 -4.39836
H: -2.62588 0.95033 -3.37115
H: -0.86242 0.84878 -3.52844
H: -1.77877 2.02506 -1.42653
H: -0.55381 3.98549 -0.57204
O: 1.60770 3.97161 0.72696
C: 2.81770 3.88300 1.44354
H: 3.09765 4.90976 1.67154
H: 3.60601 3.41632 0.84475
H: 2.69131 3.32670 2.37742
H: 2.42610 1.39251 1.05850
H: -0.90973 -3.01573 1.08996
H: -2.87034 0.30538 0.67730
H: -5.15074 -1.28168 1.63772
H: -5.28758 0.46974 1.34737

Atoms 1-3, force components in eV/Å:
C 0.1 0.0 0.3
H -0.1 0.0 -0.1
H 0.0 0.0 -0.1

----------

[1]
Density functional theory data (the ωB97M-V functional and the def2-TZVPD basis) for a cluster of 13 separate species, C66H169N15O23 in total at a distorted geometry.

Last column: Löwdin charge in e.
CARTESIAN COORDINATES (ANGSTROEM)
C -3.051 0.885 -3.866  -0.761
O -3.668 1.034 -4.886  0.046
N -1.816 1.406 -3.684  0.163
N -3.511 0.367 -2.761  0.188
H -1.192 0.728 -3.235  0.066
H -1.396 1.694 -4.536  0.054
H -4.491 0.054 -2.772  0.098
H -2.980 0.478 -1.901  0.078
C 4.866 2.895 0.057  -0.732
O 4.204 2.559 1.036  -0.004
N 4.334 3.785 -0.751  0.207
N 6.019 2.279 -0.186  0.188
H 4.707 4.121 -1.620  0.074
H 3.347 3.840 -0.614  0.074
H 6.663 2.876 -0.675  0.074
H 6.266 1.878 0.715  0.120
C -0.120 3.819 0.853  -0.034
C 0.122 2.833 -0.364  -0.416
C 0.226 3.670 -1.676  -0.235
O 1.256 4.565 -1.681  -0.207
C 0.849 5.910 -1.856  -0.083
N 1.222 2.012 -0.098  0.080
H 0.788 4.325 1.176  0.079
H -0.449 3.264 1.766  0.070
H -0.932 4.486 0.552  0.059
H -0.790 2.250 -0.431  0.112
H -0.693 4.213 -1.932  0.119
H 0.359 2.958 -2.529  0.107
H 0.398 6.066 -2.840  0.086
H 1.693 6.589 -1.766  0.087
H 0.110 6.105 -1.041  0.097
=====

Bold Items are edible

A few of these seeds will need to be ordered online but most of the seeds I need can be found at my favorite locally-owned one-stop-shop for vegetable seeds, Marietta Seed & Feed! They are my favorite local place to shop for seeds and it had that classic small-town vibe.

Some of these plants, like the tomatoes and peppers, needed to be started indoors a few weeks ago. Unfortunately my greenhouse was destroyed this winter and I haven’t had the opportunity to rebuild yet so I didn’t get to start as many early seeds as I wanted. So I will be looking to another local-owned business for help, Lady Slipper Rare Plant Nursery!

Final frost is around March 30th! Stay tuned for my post featuring the layout and locations of my garden beds.